[Wanted]
Next, transcribe the rows further down without additions.
[Contents]
........
Mn3SbO8: optimized geometry, GGA+U.

Output
Space group ... R-3m
Formation enthalpy at 0 K ... -21.25 eV/f.u.
Total energy ... -6.83 eV/atom

Cell and atoms, written as CIF:
```
data_Mn3SbO8
_chemical_formula_sum 'Mn3 Sb1 O8'
_cell_length_a 5.9885
_cell_length_b 5.9885
_cell_length_c 5.9885
_cell_angle_alpha 61.01
_cell_angle_beta 61.01
_cell_angle_gamma 61.01
_space_group_name_H-M_alt 'P 1'
_space_group_IT_number 1
loop_
_space_group_symop_operation_xyz
'x,y,z'
loop_
_atom_site_label
_atom_site_type_symbol
_atom_site_fract_x
_atom_site_fract_y
_atom_site_fract_z
Mn1 Mn 0.0000 0.5000 0.5000
Mn2 Mn 0.5000 0.0000 0.5000
Mn3 Mn 0.5000 0.5000 0.0000
Sb1 Sb 0.0000 0.0000 0.0000
O1 O 0.2347 0.2347 0.7357
O2 O 0.2347 0.7357 0.2347
O3 O 0.2643 0.7653 0.7653
O4 O 0.2731 0.2731 0.2731
O5 O 0.7269 0.7269 0.7269
O6 O 0.7357 0.2347 0.2347
O7 O 0.7653 0.2643 0.7653
O8 O 0.7653 0.7653 0.2643
```

***

MnSbO4: optimized geometry, GGA+U.

Output
Formation enthalpy at 0 K ... -11.42 eV/f.u.
Total energy ... -6.68 eV/atom

Cell and atoms, written as CIF:
```
data_MnSbO4
_chemical_formula_sum 'Mn4 Sb4 O16'
_cell_length_a 5.6583
_cell_length_b 5.6458
_cell_length_c 9.7996
_cell_angle_alpha 90.00
_cell_angle_beta 90.23
_cell_angle_gamma 90.01
_space_group_name_H-M_alt 'P 1'
_space_group_IT_number 1
loop_
_space_group_symop_operation_xyz
'x,y,z'
loop_
_atom_site_label
_atom_site_type_symbol
_atom_site_fract_x
_atom_site_fract_y
_atom_site_fract_z
Mn1 Mn 0.4758 0.9998 0.5081
Mn2 Mn 0.7741 0.4997 0.7419
Mn3 Mn 0.9758 0.9997 0.0081
Mn4 Mn 0.2743 0.4998 0.2418
Sb1 Sb 0.4952 0.2503 0.9951
Sb2 Sb 0.9954 0.2504 0.4951
Sb3 Sb 0.7549 0.7504 0.2549
Sb4 Sb 0.2547 0.7504 0.7549
O1 O 0.1997 0.2734 0.0998
O2 O 0.6999 0.2732 0.5999
O3 O 0.4516 0.7255 0.3500
O4 O 0.9514 0.7257 0.8501
O5 O 0.7985 0.2256 0.9000
O6 O 0.2986 0.2257 0.3999
O7 O 0.0503 0.7735 0.1502
O8 O 0.5501 0.7733 0.6501
O9 O 0.2976 0.9997 0.9015
O10 O 0.7977 0.9996 0.4015
O11 O 0.5748 0.5014 0.1405
O12 O 0.0746 0.5013 0.6407
O13 O 0.4522 0.4996 0.8486
O14 O 0.9524 0.4997 0.3485
O15 O 0.6752 0.0013 0.1095
O16 O 0.1752 0.0013 0.6093
```

***

Mn3SbO8: optimized geometry, GGA+U.

Output
Space group ... C2/m
Formation enthalpy at 0 K ... -21.18 eV/f.u.
Total energy ... -6.82 eV/atom

Cell and atoms, written as CIF:
```
data_Mn3SbO8
_chemical_formula_sum 'Mn3 Sb1 O8'
_cell_length_a 6.0477
_cell_length_b 6.0477
_cell_length_c 6.0904
_cell_angle_alpha 119.89
_cell_angle_beta 119.89
_cell_angle_gamma 61.03
_space_group_name_H-M_alt 'P 1'
_space_group_IT_number 1
loop_
_space_group_symop_operation_xyz
'x,y,z'
loop_
_atom_site_label
_atom_site_type_symbol
_atom_site_fract_x
_atom_site_fract_y
_atom_site_fract_z
Mn1 Mn 0.0000 0.0000 0.0000
Mn2 Mn 0.0000 0.5000 0.0000
Mn3 Mn 0.5000 0.0000 0.0000
Sb1 Sb 0.5000 0.5000 0.0000
O1 O 0.2265 0.2265 0.1786
O2 O 0.2392 0.7171 0.2004
O3 O 0.2593 0.2593 0.7982
O4 O 0.2829 0.7608 0.7996
O5 O 0.7171 0.2392 0.2004
O6 O 0.7407 0.7407 0.2018
O7 O 0.7608 0.2829 0.7996
O8 O 0.7735 0.7735 0.8214
```

***

Mn3SbO8: optimized geometry, GGA+U.

Output
Space group ... P6_3mc
Formation enthalpy at 0 K ... -21.76 eV/f.u.
Total energy ... -6.87 eV/atom

Cell and atoms, written as CIF:
```
data_Mn3SbO8
_chemical_formula_sum 'Mn6 Sb2 O16'
_cell_length_a 5.9103
_cell_length_b 5.9103
_cell_length_c 9.3009
_cell_angle_alpha 90.00
_cell_angle_beta 90.00
_cell_angle_gamma 120.00
_space_group_name_H-M_alt 'P 1'
_space_group_IT_number 1
loop_
_space_group_symop_operation_xyz
'x,y,z'
loop_
_atom_site_label
_atom_site_type_symbol
_atom_site_fract_x
_atom_site_fract_y
_atom_site_fract_z
Mn1 Mn 0.1675 0.3350 0.0000
Mn2 Mn 0.1675 0.8325 0.0000
Mn3 Mn 0.3350 0.1675 0.5000
Mn4 Mn 0.6650 0.8325 0.0000
Mn5 Mn 0.8325 0.1675 0.5000
Mn6 Mn 0.8325 0.6650 0.5000
Sb1 Sb 0.3333 0.6667 0.2780
Sb2 Sb 0.6667 0.3333 0.7780
O1 O 0.0000 0.0000 0.0948
O2 O 0.0000 0.0000 0.5948
O3 O 0.0375 0.5188 0.1284
O4 O 0.1663 0.3327 0.3884
O5 O 0.1663 0.8337 0.3884
O6 O 0.3327 0.1663 0.8884
O7 O 0.3333 0.6667 0.9008
........
[Worked solution]
Mn3SbO8: optimized geometry, GGA+U.

Output
Space group ... R-3m
Formation enthalpy at 0 K ... -21.25 eV/f.u.
Total energy ... -6.83 eV/atom

Cell and atoms, written as CIF:
```
data_Mn3SbO8
_chemical_formula_sum 'Mn3 Sb1 O8'
_cell_length_a 5.9885
_cell_length_b 5.9885
_cell_length_c 5.9885
_cell_angle_alpha 61.01
_cell_angle_beta 61.01
_cell_angle_gamma 61.01
_space_group_name_H-M_alt 'P 1'
_space_group_IT_number 1
loop_
_space_group_symop_operation_xyz
'x,y,z'
loop_
_atom_site_label
_atom_site_type_symbol
_atom_site_fract_x
_atom_site_fract_y
_atom_site_fract_z
Mn1 Mn 0.0000 0.5000 0.5000
Mn2 Mn 0.5000 0.0000 0.5000
Mn3 Mn 0.5000 0.5000 0.0000
Sb1 Sb 0.0000 0.0000 0.0000
O1 O 0.2347 0.2347 0.7357
O2 O 0.2347 0.7357 0.2347
O3 O 0.2643 0.7653 0.7653
O4 O 0.2731 0.2731 0.2731
O5 O 0.7269 0.7269 0.7269
O6 O 0.7357 0.2347 0.2347
O7 O 0.7653 0.2643 0.7653
O8 O 0.7653 0.7653 0.2643
```

***

MnSbO4: optimized geometry, GGA+U.

Output
Formation enthalpy at 0 K ... -11.42 eV/f.u.
Total energy ... -6.68 eV/atom

Cell and atoms, written as CIF:
```
data_MnSbO4
_chemical_formula_sum 'Mn4 Sb4 O16'
_cell_length_a 5.6583
_cell_length_b 5.6458
_cell_length_c 9.7996
_cell_angle_alpha 90.00
_cell_angle_beta 90.23
_cell_angle_gamma 90.01
_space_group_name_H-M_alt 'P 1'
_space_group_IT_number 1
loop_
_space_group_symop_operation_xyz
'x,y,z'
loop_
_atom_site_label
_atom_site_type_symbol
_atom_site_fract_x
_atom_site_fract_y
_atom_site_fract_z
Mn1 Mn 0.4758 0.9998 0.5081
Mn2 Mn 0.7741 0.4997 0.7419
Mn3 Mn 0.9758 0.9997 0.0081
Mn4 Mn 0.2743 0.4998 0.2418
Sb1 Sb 0.4952 0.2503 0.9951
Sb2 Sb 0.9954 0.2504 0.4951
Sb3 Sb 0.7549 0.7504 0.2549
Sb4 Sb 0.2547 0.7504 0.7549
O1 O 0.1997 0.2734 0.0998
O2 O 0.6999 0.2732 0.5999
O3 O 0.4516 0.7255 0.3500
O4 O 0.9514 0.7257 0.8501
O5 O 0.7985 0.2256 0.9000
O6 O 0.2986 0.2257 0.3999
O7 O 0.0503 0.7735 0.1502
O8 O 0.5501 0.7733 0.6501
O9 O 0.2976 0.9997 0.9015
O10 O 0.7977 0.9996 0.4015
O11 O 0.5748 0.5014 0.1405
O12 O 0.0746 0.5013 0.6407
O13 O 0.4522 0.4996 0.8486
O14 O 0.9524 0.4997 0.3485
O15 O 0.6752 0.0013 0.1095
O16 O 0.1752 0.0013 0.6093
```

***

Mn3SbO8: optimized geometry, GGA+U.

Output
Space group ... C2/m
Formation enthalpy at 0 K ... -21.18 eV/f.u.
Total energy ... -6.82 eV/atom

Cell and atoms, written as CIF:
```
data_Mn3SbO8
_chemical_formula_sum 'Mn3 Sb1 O8'
_cell_length_a 6.0477
_cell_length_b 6.0477
_cell_length_c 6.0904
_cell_angle_alpha 119.89
_cell_angle_beta 119.89
_cell_angle_gamma 61.03
_space_group_name_H-M_alt 'P 1'
_space_group_IT_number 1
loop_
_space_group_symop_operation_xyz
'x,y,z'
loop_
_atom_site_label
_atom_site_type_symbol
_atom_site_fract_x
_atom_site_fract_y
_atom_site_fract_z
Mn1 Mn 0.0000 0.0000 0.0000
Mn2 Mn 0.0000 0.5000 0.0000
Mn3 Mn 0.5000 0.0000 0.0000
Sb1 Sb 0.5000 0.5000 0.0000
O1 O 0.2265 0.2265 0.1786
O2 O 0.2392 0.7171 0.2004
O3 O 0.2593 0.2593 0.7982
O4 O 0.2829 0.7608 0.7996
O5 O 0.7171 0.2392 0.2004
O6 O 0.7407 0.7407 0.2018
O7 O 0.7608 0.2829 0.7996
O8 O 0.7735 0.7735 0.8214
```

***

Mn3SbO8: optimized geometry, GGA+U.

Output
Space group ... P6_3mc
Formation enthalpy at 0 K ... -21.76 eV/f.u.
Total energy ... -6.87 eV/atom

Cell and atoms, written as CIF:
```
data_Mn3SbO8
_chemical_formula_sum 'Mn6 Sb2 O16'
_cell_length_a 5.9103
_cell_length_b 5.9103
_cell_length_c 9.3009
_cell_angle_alpha 90.00
_cell_angle_beta 90.00
_cell_angle_gamma 120.00
_space_group_name_H-M_alt 'P 1'
_space_group_IT_number 1
loop_
_space_group_symop_operation_xyz
'x,y,z'
loop_
_atom_site_label
_atom_site_type_symbol
_atom_site_fract_x
_atom_site_fract_y
_atom_site_fract_z
Mn1 Mn 0.1675 0.3350 0.0000
Mn2 Mn 0.1675 0.8325 0.0000
Mn3 Mn 0.3350 0.1675 0.5000
Mn4 Mn 0.6650 0.8325 0.0000
Mn5 Mn 0.8325 0.1675 0.5000
Mn6 Mn 0.8325 0.6650 0.5000
Sb1 Sb 0.3333 0.6667 0.2780
Sb2 Sb 0.6667 0.3333 0.7780
O1 O 0.0000 0.0000 0.0948
O2 O 0.0000 0.0000 0.5948
O3 O 0.0375 0.5188 0.1284
O4 O 0.1663 0.3327 0.3884
O5 O 0.1663 0.8337 0.3884
O6 O 0.3327 0.1663 0.8884
O7 O 0.3333 0.6667 0.9008